Request:
It remains to repeat only the last part of the material below, starting with the line that has "0.953 0.953".

Data:
=====
1.
# SnPd3F

A relaxed structure of SnPd3F (PBE, the Alexandria database).

Formation energy from raw total energies   -0.057 eV/atom
Energy   -21.740 eV per cell
ΔE to the lowest computed polymorph   0.000 eV per formula unit
DOS(E_F)   2.33 states/eV/cell
Symmetry   No. 221
Size of the total moment   0.0 Bohr magnetons per cell

a = 4.4334 Å, b = 4.4334 Å, c = 4.4334 Å
α = 90.00°, β = 90.00°, γ = 90.00°
Fractional coordinates of all 5 atoms:
Sn1 0.5000 0.5000 0.5000
Pd1 0.0000 0.5000 0.0000
Pd2 0.0000 0.0000 0.5000
Pd3 0.5000 0.0000 0.0000
F1 0.0000 0.0000 0.0000

=====

2.
# MoAsP2

A relaxed structure of MoAsP2 (PBE, the Alexandria database).

Energy   -24.729 eV per cell
DOS(E_F)   3.35 states/eV/cell
Symmetry   No. 65
ΔH_f (0 K)   392.9 meV/atom
Size of the total moment   0.0 Bohr magnetons per cell

a = 4.4467 Å, b = 4.4467 Å, c = 3.1063 Å
α = 90.00°, β = 90.00°, γ = 103.56°
Fractional coordinates of all 4 atoms:
As1 0.5000 0.0000 0.5000
Mo1 0.0000 0.5000 0.5000
P1 0.0000 0.0000 0.0000
P2 0.5000 0.5000 0.0000

=====

3.
# LaPr5Pb5

A relaxed structure of LaPr5Pb5 (PBE, the Alexandria database).

Energy   -51.232 eV per cell
DOS(E_F)   11.05 states/eV/cell
Symmetry   No. 12
ΔH_f (0 K)   -351.4 meV/atom
Size of the total moment   0.5 Bohr magnetons per cell

a = 6.5096 Å, b = 8.0430 Å, c = 9.0000 Å
α = 106.03°, β = 90.00°, γ = 113.87°
Each line ends with the local moment (μB).
Fractional coordinates of all 11 atoms:
La1 0.0000 0.0000 0.0000  0.00
Pr1 0.6647 0.3295 0.3352  0.02
Pr2 0.6688 0.3377 0.8350  0.02
Pr3 0.0000 0.0000 0.5000  0.07
Pr4 0.3312 0.6623 0.1650  0.02
Pr5 0.3353 0.6705 0.6648  0.02
Pb1 0.8340 0.6680 0.1736  0.00
Pb2 0.8342 0.6684 0.6625  0.00
Pb3 0.5000 0.0000 0.0000  -0.01
Pb4 0.1658 0.3316 0.3375  0.00
Pb5 0.1660 0.3320 0.8264  0.00

* * * * *

[1]
First-principles (GGA-PBE) data for HgAuSCl2 after structural relaxation, as listed in Alexandria via LeMat-Bulk.

Structure (POSCAR):
```
HgAuSCl2
1.0
4.914 0.000 0.000
0.000 4.914 0.000
0.000 0.000 5.119
S Au Hg Cl
1 1 1 2
direct
0.000 0.000 0.500
0.000 0.000 0.000
0.500 0.500 0.500
0.000 0.500 0.000
0.500 0.000 0.000
```

Properties
Symmetry: P4/mmm
Raw formation energy: 0.1807 eV per atom
Distance to the lowest polymorph of the same formula: 0.000 eV/atom
E: -2.099 eV/atom

***

[2]
First-principles (GGA-PBE) data for Tb4NdTh2 after structural relaxation, as listed in Alexandria via LeMat-Bulk.

Structure (POSCAR):
```
Tb4NdTh2
1.0
5.647 0.000 0.000
0.000 5.647 0.000
-2.824 -2.824 8.280
Tb Nd Th
4 1 2
direct
0.818 0.818 0.637
0.182 0.182 0.363
0.000 0.500 0.000
0.500 0.000 0.000
0.000 0.000 0.000
0.612 0.612 0.223
0.388 0.388 0.777
```

Properties
Symmetry: I4/mmm
Distance to the lowest polymorph of the same formula: 0.619 eV/atom
E: -4.654 eV/atom
Energy of formation: 793 meV per atom

***

[3]
First-principles (GGA-PBE) data for Tc2NiPb after structural relaxation, as listed in Alexandria via LeMat-Bulk.

Structure (POSCAR):
```
Tc2NiPb
1.0
-2.723 -1.051 -1.051
0.605 -2.788 1.219
-2.990 1.905 5.843
Ni Pb Tc
1 1 2
direct
0.000 0.000 0.469
0.500 0.500 0.728
0.000 0.000 0.052
0.500 0.500 0.252
```

Properties
Symmetry: P4mm
E: -7.210 eV/atom
Energy of formation: 345 meV per atom

* * * * *

(1)
First-principles (PBE) data for Sc2Tl after structural relaxation, as listed in Alexandria via LeMat-Bulk.

Calculated values
The total moment is 0.0 μB per formula unit.

```
Sc2Tl
1.0
1.668 5.735 -0.502
-1.668 5.735 -0.502
0.000 0.772 7.683
Sc Tl
4 2
Direct
0.953 0.953 0.981
0.347 0.347 0.336
0.712 0.712 0.660
0.609 0.609 0.274
0.989 0.989 0.590
0.223 0.223 0.992
```

---

(2)
First-principles (PBE) data for Sc8Tl after structural relaxation, as listed in Alexandria via LeMat-Bulk.

Calculated values
The total moment is 0.6 μB per formula unit.

```
Sc8Tl
1.0
7.286 -0.001 0.000
-5.882 4.299 0.000
-0.702 -2.149 6.926
Sc Tl
8 1
Direct
0.336 0.664 0.000
0.664 0.336 0.000
0.000 0.336 0.336
0.664 0.664 0.328
0.336 0.000 0.336
0.336 0.336 0.672
0.000 0.664 0.664
=====

Reply:
0.953 0.953 0.981
0.347 0.347 0.336
0.712 0.712 0.660
0.609 0.609 0.274
0.989 0.989 0.590
0.223 0.223 0.992
```

---

(2)
First-principles (PBE) data for Sc8Tl after structural relaxation, as listed in Alexandria via LeMat-Bulk.

Calculated values
The total moment is 0.6 μB per formula unit.

```
Sc8Tl
1.0
7.286 -0.001 0.000
-5.882 4.299 0.000
-0.702 -2.149 6.926
Sc Tl
8 1
Direct
0.336 0.664 0.000
0.664 0.336 0.000
0.000 0.336 0.336
0.664 0.664 0.328
0.336 0.000 0.336
0.336 0.336 0.672
0.000 0.664 0.664